(Assignment)
Now filter the rows below: keep the lines with the word "with".
(Listing)
┌──
The following is a GGA+U calculation of a relaxed MgZn2Fe4O8 crystal, from the Materials Project database.

POSCAR file:
```
MgZn2Fe4O8
1.0
-3.050 3.215 4.332
3.050 -3.215 4.332
3.050 3.215 -4.332
Mg Zn Fe O
1 2 4 8
direct
0.000 0.000 0.000
0.238 0.514 0.277
0.238 0.961 0.723
0.131 0.422 0.710
0.593 0.093 0.500
0.685 0.685 0.000
0.712 0.422 0.290
0.352 0.651 0.701
0.387 0.177 0.210
0.464 0.225 0.761
0.464 0.702 0.239
0.869 0.129 0.260
0.869 0.609 0.740
0.950 0.651 0.299
0.968 0.177 0.790
```

Output
Crystal system: orthorhombic
Energy of formation from the pure elements (meV/atom): -1653.2
Magnetization (μB per cell): 10.0
Energy above the lowest structure with this stoichiometry (meV/atom): 45.0


The following is a GGA+U calculation of a relaxed MgZn2Fe2O6 crystal, from the Materials Project database.

POSCAR file:
```
MgZn2Fe2O6
1.0
2.621 1.513 5.070
-2.621 1.513 5.070
0.000 -3.026 5.070
Mg Zn Fe O
1 2 2 6
direct
0.000 0.000 0.000
0.397 0.397 0.397
0.603 0.603 0.603
0.182 0.182 0.182
0.818 0.818 0.818
0.064 0.406 0.793
0.207 0.936 0.594
0.406 0.793 0.064
0.594 0.207 0.936
0.793 0.064 0.406
0.936 0.594 0.207
```

Output
Crystal system: trigonal
Energy of formation from the pure elements (meV/atom): -1908.4
Magnetization (μB per cell): 10.0
Energy above the lowest structure with this stoichiometry (meV/atom): 0.0


The following is a GGA+U calculation of a relaxed MgZn2Fe4O8 crystal, from the Materials Project database.

POSCAR file:
```
MgZn2Fe4O8
1.0
2.945 0.000 0.000
0.000 11.982 0.000
-0.618 0.000 5.160
Mg Zn Fe O
1 2 4 8
direct
0.000 0.000 0.000
0.113 0.000 0.499
0.143 0.500 0.862
0.564 0.233 0.832
0.564 0.767 0.832
0.672 0.357 0.337
0.672 0.643 0.337
0.051 0.122 0.750
0.051 0.878 0.750
0.116 0.291 0.125
0.116 0.709 0.125
0.231 0.374 0.610
0.231 0.626 0.610
0.552 0.000 0.243
0.685 0.500 0.137
```

Output
Crystal system: monoclinic
Energy of formation from the pure elements (meV/atom): -1639.0
Magnetization (μB per cell): 18.0
Energy above the lowest structure with this stoichiometry (meV/atom): 59.2


The following is a GGA+U calculation of a relaxed MgZn2Fe2O6 crystal, from the Materials Project database.

POSCAR file:
```
MgZn2Fe2O6
1.0
2.609 1.506 4.981
-2.609 1.506 4.981
0.000 -3.013 4.981
Mg Zn Fe O
1 2 2 6
direct
0.000 0.000 0.000
0.643 0.643 0.643
0.812 0.812 0.812
0.277 0.277 0.277
0.465 0.465 0.465
0.074 0.396 0.678
0.227 0.873 0.567
0.396 0.678 0.074
0.567 0.227 0.873
0.678 0.074 0.396
0.873 0.567 0.227
```

Output
Crystal system: trigonal
Energy of formation from the pure elements (meV/atom): -1835.5
Magnetization (μB per cell): 10.0
Energy above the lowest structure with this stoichiometry (meV/atom): 72.9

=====

Below is a relaxed CeIn2Ru crystal, with properties calculated at the PBE level.

Properties
- Crystal system: orthorhombic
- E_tot: -5.6100 eV per atom

Geometry as POSCAR:
```
CeIn2Ru
1.0
4.7953 0.0000 0.0000
-2.3976 4.9365 0.0000
0.0000 0.0000 7.7429
Ce In Ru
2 4 2
direct
0.5570 0.1139 0.7500
0.4430 0.8861 0.2500
0.8511 0.7021 0.9536
0.1489 0.2979 0.4536
0.8511 0.7021 0.5464
0.1489 0.2979 0.0464
0.3260 0.6520 0.7500
0.6740 0.3480 0.2500
```

=====

1.
{
  "formula": "TbCo2Si2",
  "functional": "GGA-PBE",
  "state": "optimized geometry",
  "dft_energy_ev_per_fu": -33.8,
  "formation_enthalpy_0k_ev_per_atom": -0.80,
  "vol_a3_per_cell": 74,
  "space_group": "I4/mmm (139)",
  "crystal_system": "tetragonal",
  "lattice_angstrom": [[2.846, 4.432, 1.937], [-1.598, 5.244, -1.196], [-2.204, -4.807, 1.879]],
  "species": ["Tb", "Co", "Co", "Si", "Si"],
  "fractional_positions": [[0.000, 0.000, 0.000], [0.250, 0.750, 0.500], [0.750, 0.250, 0.500], [0.629, 0.629, 0.000], [0.371, 0.371, 0.000]]
}


2.
{
  "formula": "Ba3HoRu2O9",
  "functional": "GGA-PBE",
  "state": "optimized geometry",
  "dft_energy_ev_per_fu": -106.8,
  "formation_enthalpy_0k_ev_per_atom": -2.64,
  "vol_a3_per_cell": 448,
  "space_group": "P6_3/mmc (194)",
  "crystal_system": "hexagonal",
└──
(Here it is)
Energy above the lowest structure with this stoichiometry (meV/atom): 45.0
Energy above the lowest structure with this stoichiometry (meV/atom): 0.0
Energy above the lowest structure with this stoichiometry (meV/atom): 59.2
Energy above the lowest structure with this stoichiometry (meV/atom): 72.9
Below is a relaxed CeIn2Ru crystal, with properties calculated at the PBE level.